-- File --
Here is C19H25N3O5S as an isolated structure at a distorted geometry from the Open Molecules 2025 dataset. Energies are from wB97M-V/def2-TZVPD.

The geometry in XYZ format:
```
53
Properties=species:S:1:pos:R:3:lowdin_charge:R:1
C 4.946 0.977 1.457 -0.03
O 5.163 0.042 0.319 -0.23
C 5.526 -1.153 0.738 -0.29
C 5.377 -2.237 -0.447 -0.10
C 3.911 -2.759 -0.953 -0.09
N 3.016 -1.498 -0.980 -0.01
C 2.147 -1.045 0.085 -0.84
N 1.715 0.349 -0.381 -0.08
C 2.066 1.143 -1.513 -0.14
H 2.076 0.432 -2.312 0.10
H 3.098 1.662 -1.293 0.15
C 1.149 2.457 -1.800 -0.32
H 1.459 2.451 -2.859 0.12
H 0.214 2.194 -1.562 0.06
O 1.594 3.457 -1.053 -0.14
H 0.864 3.585 -0.103 0.17
C 1.066 0.810 0.885 -0.15
C -0.501 0.952 0.731 -0.24
C -1.087 -0.016 0.407 0.01
C -2.639 -0.042 0.449 0.02
C -3.430 -1.239 0.038 0.12
C -4.873 -1.056 0.171 -0.09
C -5.398 0.215 0.189 -0.30
C -4.700 1.296 0.484 0.08
C -3.254 1.334 0.161 -0.06
N -2.399 2.306 0.565 0.14
C -1.106 2.121 0.686 -0.20
O -0.498 3.545 0.766 -0.20
H -3.023 3.149 0.731 0.22
H -5.111 2.156 0.455 0.06
O -6.739 0.339 0.032 -0.04
C -7.475 -1.020 0.090 -0.10
C -6.756 -2.028 -0.628 -0.31
H -7.334 -3.149 -0.588 0.21
O -5.499 -2.367 -0.209 -0.06
H -6.743 -1.535 -1.659 0.16
H -8.444 -0.796 -0.268 0.10
H -7.432 -1.296 1.533 0.24
H -2.929 -2.157 0.074 0.10
H -0.811 -0.954 0.544 0.06
H 1.331 0.319 1.900 0.09
H 1.275 2.059 1.198 0.18
S 1.663 -1.899 1.240 0.83
H 3.488 -0.866 -1.580 0.08
H 3.787 -3.124 -1.786 0.01
H 3.576 -3.222 -0.011 0.07
H 5.952 -3.222 -0.126 0.14
H 5.948 -1.870 -1.228 0.06
H 6.408 -1.125 1.090 0.04
H 4.543 -1.511 1.599 0.18
H 4.160 0.709 2.047 0.03
H 4.627 1.969 0.875 0.13
H 6.037 1.160 1.800 0.12
```

Output
2S+1: 1
LUMO energy in eV: -0.69
Relative energy (zero: lowest compared OMol25 entry of this formula, charge and spin) in kcal/mol: 449.5
Orbital gap in eV: 7.442
E in Ha: -1677.027820
HOMO in Ha: -0.299

=====

DFT (the ωB97M-V functional and the def2-TZVPD basis) results for 2 unconnected molecules or ions with the total composition C8H23N8O in a non-equilibrium geometry.

Results
total energy = -22628.7404 eV
HOMO = -11.2 eV
multiplicity = 1
net charge = +1

Each line ends with the natural charge from an NBO analysis.
Positions of all 40 atoms, in Å:
N1 -0.652 3.561 0.297  -0.848
C1 -0.852 2.099 0.352  0.396
N2 -1.866 1.860 1.447  -0.835
N3 -1.421 1.556 -0.918  -0.876
C2 0.473 1.250 0.667  -0.273
N4 1.551 2.025 1.346  -0.564
C3 2.634 2.389 0.635  0.591
N5 2.956 2.107 -0.739  -0.467
C4 4.233 2.714 -0.924  0.259
N6 4.593 3.353 0.286  -0.351
N7 3.662 3.175 1.270  -0.394
H1 0.297 3.823 0.011  0.358
H2 -1.268 3.997 -0.407  0.386
H3 -1.796 0.891 1.779  0.352
H4 -1.551 2.477 2.213  0.360
H5 -1.976 2.257 -1.415  0.379
H6 -1.954 0.700 -0.720  0.390
H7 0.803 0.787 -0.328  0.274
H8 0.242 0.359 1.351  0.226
H9 1.490 2.331 2.321  0.430
H10 4.771 2.633 -1.912  0.285
H11 5.472 3.875 0.349  0.456
H12 3.722 3.558 2.219  0.460
C5 -0.704 -4.643 -0.555  -0.616
C6 -0.419 -3.255 -1.122  -0.082
C7 -0.901 -2.103 -0.218  -0.075
O1 -2.307 -1.883 -0.236  -0.561
C8 -3.056 -2.782 0.569  -0.252
N8 -0.997 -3.163 -2.468  -0.814
H13 -1.745 -4.944 -0.682  0.208
H14 -0.096 -5.392 -1.067  0.228
H15 -0.461 -4.691 0.511  0.202
H16 0.670 -3.163 -1.212  0.188
H17 -0.458 -1.175 -0.593  0.170
H18 -0.543 -2.223 0.813  0.158
H19 -2.522 -3.061 1.482  0.170
H20 -3.320 -3.671 -0.006  0.177
H21 -3.986 -2.286 0.850  0.197
H22 -0.712 -2.280 -2.887  0.350
H23 -2.006 -3.063 -2.359  0.357


DFT (the ωB97M-V functional and the def2-TZVPD basis) results for a molecular structure, C8H23O2PTl in a non-equilibrium geometry.

Results
total energy = -26729.2783 eV
HOMO = -11.1 eV
multiplicity = 1
net charge = +1
relative energy (zero: lowest compared OMol25 entry of this formula, charge and spin) = 0.0 kcal/mol

Each line ends with the Löwdin charge.
Positions of all 35 atoms, in Å:
Tl1 -0.114 0.038 -0.234  0.410
H1 0.115 1.642 0.597  0.085
H2 -0.426 1.790 -0.251  0.078
P1 -1.637 0.257 -2.096  0.650
C1 -0.820 0.105 -3.678  -0.245
-- Brief --
Now print all of the contents above with every line break kept.
-- Done --
Here is C19H25N3O5S as an isolated structure at a distorted geometry from the Open Molecules 2025 dataset. Energies are from wB97M-V/def2-TZVPD.

The geometry in XYZ format:
```
53
Properties=species:S:1:pos:R:3:lowdin_charge:R:1
C 4.946 0.977 1.457 -0.03
O 5.163 0.042 0.319 -0.23
C 5.526 -1.153 0.738 -0.29
C 5.377 -2.237 -0.447 -0.10
C 3.911 -2.759 -0.953 -0.09
N 3.016 -1.498 -0.980 -0.01
C 2.147 -1.045 0.085 -0.84
N 1.715 0.349 -0.381 -0.08
C 2.066 1.143 -1.513 -0.14
H 2.076 0.432 -2.312 0.10
H 3.098 1.662 -1.293 0.15
C 1.149 2.457 -1.800 -0.32
H 1.459 2.451 -2.859 0.12
H 0.214 2.194 -1.562 0.06
O 1.594 3.457 -1.053 -0.14
H 0.864 3.585 -0.103 0.17
C 1.066 0.810 0.885 -0.15
C -0.501 0.952 0.731 -0.24
C -1.087 -0.016 0.407 0.01
C -2.639 -0.042 0.449 0.02
C -3.430 -1.239 0.038 0.12
C -4.873 -1.056 0.171 -0.09
C -5.398 0.215 0.189 -0.30
C -4.700 1.296 0.484 0.08
C -3.254 1.334 0.161 -0.06
N -2.399 2.306 0.565 0.14
C -1.106 2.121 0.686 -0.20
O -0.498 3.545 0.766 -0.20
H -3.023 3.149 0.731 0.22
H -5.111 2.156 0.455 0.06
O -6.739 0.339 0.032 -0.04
C -7.475 -1.020 0.090 -0.10
C -6.756 -2.028 -0.628 -0.31
H -7.334 -3.149 -0.588 0.21
O -5.499 -2.367 -0.209 -0.06
H -6.743 -1.535 -1.659 0.16
H -8.444 -0.796 -0.268 0.10
H -7.432 -1.296 1.533 0.24
H -2.929 -2.157 0.074 0.10
H -0.811 -0.954 0.544 0.06
H 1.331 0.319 1.900 0.09
H 1.275 2.059 1.198 0.18
S 1.663 -1.899 1.240 0.83
H 3.488 -0.866 -1.580 0.08
H 3.787 -3.124 -1.786 0.01
H 3.576 -3.222 -0.011 0.07
H 5.952 -3.222 -0.126 0.14
H 5.948 -1.870 -1.228 0.06
H 6.408 -1.125 1.090 0.04
H 4.543 -1.511 1.599 0.18
H 4.160 0.709 2.047 0.03
H 4.627 1.969 0.875 0.13
H 6.037 1.160 1.800 0.12
```

Output
2S+1: 1
LUMO energy in eV: -0.69
Relative energy (zero: lowest compared OMol25 entry of this formula, charge and spin) in kcal/mol: 449.5
Orbital gap in eV: 7.442
E in Ha: -1677.027820
HOMO in Ha: -0.299

=====

DFT (the ωB97M-V functional and the def2-TZVPD basis) results for 2 unconnected molecules or ions with the total composition C8H23N8O in a non-equilibrium geometry.

Results
total energy = -22628.7404 eV
HOMO = -11.2 eV
multiplicity = 1
net charge = +1

Each line ends with the natural charge from an NBO analysis.
Positions of all 40 atoms, in Å:
N1 -0.652 3.561 0.297  -0.848
C1 -0.852 2.099 0.352  0.396
N2 -1.866 1.860 1.447  -0.835
N3 -1.421 1.556 -0.918  -0.876
C2 0.473 1.250 0.667  -0.273
N4 1.551 2.025 1.346  -0.564
C3 2.634 2.389 0.635  0.591
N5 2.956 2.107 -0.739  -0.467
C4 4.233 2.714 -0.924  0.259
N6 4.593 3.353 0.286  -0.351
N7 3.662 3.175 1.270  -0.394
H1 0.297 3.823 0.011  0.358
H2 -1.268 3.997 -0.407  0.386
H3 -1.796 0.891 1.779  0.352
H4 -1.551 2.477 2.213  0.360
H5 -1.976 2.257 -1.415  0.379
H6 -1.954 0.700 -0.720  0.390
H7 0.803 0.787 -0.328  0.274
H8 0.242 0.359 1.351  0.226
H9 1.490 2.331 2.321  0.430
H10 4.771 2.633 -1.912  0.285
H11 5.472 3.875 0.349  0.456
H12 3.722 3.558 2.219  0.460
C5 -0.704 -4.643 -0.555  -0.616
C6 -0.419 -3.255 -1.122  -0.082
C7 -0.901 -2.103 -0.218  -0.075
O1 -2.307 -1.883 -0.236  -0.561
C8 -3.056 -2.782 0.569  -0.252
N8 -0.997 -3.163 -2.468  -0.814
H13 -1.745 -4.944 -0.682  0.208
H14 -0.096 -5.392 -1.067  0.228
H15 -0.461 -4.691 0.511  0.202
H16 0.670 -3.163 -1.212  0.188
H17 -0.458 -1.175 -0.593  0.170
H18 -0.543 -2.223 0.813  0.158
H19 -2.522 -3.061 1.482  0.170
H20 -3.320 -3.671 -0.006  0.177
H21 -3.986 -2.286 0.850  0.197
H22 -0.712 -2.280 -2.887  0.350
H23 -2.006 -3.063 -2.359  0.357


DFT (the ωB97M-V functional and the def2-TZVPD basis) results for a molecular structure, C8H23O2PTl in a non-equilibrium geometry.

Results
total energy = -26729.2783 eV
HOMO = -11.1 eV
multiplicity = 1
net charge = +1
relative energy (zero: lowest compared OMol25 entry of this formula, charge and spin) = 0.0 kcal/mol

Each line ends with the Löwdin charge.
Positions of all 35 atoms, in Å:
Tl1 -0.114 0.038 -0.234  0.410
H1 0.115 1.642 0.597  0.085
H2 -0.426 1.790 -0.251  0.078
P1 -1.637 0.257 -2.096  0.650
C1 -0.820 0.105 -3.678  -0.245